Tips for better relationships across home, work and in society.
Maya Angelou said, “I’ve learned that people will forget what you said, people will forget what you did, but people will never forget how you made them feel.”
The operative part of that quote is ‘”how people feel”* – and how people feel – that IS their reality. Evolution has ensured we remember how we feel. Inbuilt into our systems – is to avoid pain, and go towards pleasure. Research indicates that 5/6th neural circuitry is dedicated for avoiding pain (only 1/6th is for accepting pleasure) – meaning that we notice and remember the negatives easier and longer than the good things!
It’s important that each person be aware of the effect one’s words and actions has on others.
Appreciation is always appreciated. People like those who are likeable. Being likeable is the most important aspect that enables people to sponsor and promote those they like. So, being appreciative and likeable is the first and most important part of existing in a network organisation. People rarely like those who think they’re smart and that others aren’t.
It might be useful to remember what Prof Richard Boyatzis said, “Self assessment isn’t just illusional, it’s delusional!” Do yourself the greatest favour by taking feedback from others about what you really are! Inspire them to give you honest, unsweetened, direct feedback. That will help you take appropriate steps to become more likeable, making it easier for others to promote you and talk about you to others!
SCARF might be an acronym useful to remember. SCARF helps have better relationships, across all areas in life – work, society, and most importantly, at home!
┌──
Entry from the Alexandria database: a geometry-optimized ZrCdSb structure (PBE).

Values from the calculation:
SG: P-6m2 (187)
E_form (uncorrected): -2.7 kJ per mole of atoms
N(E_F): 3.2 states/eV/f.u.

Unit cell a=5.092 b=5.092 c=3.065 alpha=90.00 beta=90.00 gamma=120.00
Last column: magnetic moment on the atom in μB.
Fractional coordinates of all 3 atoms:
Cd (0.000, 0.000, 0.167)  0.02
Sb (0.667, 0.333, 0.167)  0.00
Zr (0.333, 0.667, 0.666)  0.25


VASP calculation (GGA-PBE) on a geometry-optimized Tc2PtRh structure.

Calculated values
E in eV/atom: -8.3073
Space group: F-43m
Crystal system: cubic
Energy relative to the elements in eV per atom: 0.224
ΔE to the lowest computed polymorph in meV/atom: 391

a b c (Å): 4.391 4.391 4.391
angles (deg): 60.00 60.00 60.00
Atoms (fractional coordinates):
Tc1 0.250 0.250 0.250
Tc2 0.000 0.000 0.000
Pt1 0.500 0.500 0.500
Rh1 0.750 0.750 0.750



VASP calculation (GGA-PBE) on a geometry-optimized TcPtRh2 structure.

Calculated values
E in eV/atom: -7.8800
Space group: Pmm2
Crystal system: orthorhombic
Energy relative to the elements in eV per atom: -0.103
ΔE to the lowest computed polymorph in meV/atom: 42

a b c (Å): 2.721 3.916 5.460
angles (deg): 90.00 90.00 90.00
Atoms (fractional coordinates):
Rh1 0.500 0.500 0.258
Rh2 0.000 0.000 0.004
Tc1 0.000 0.000 0.491
Pt1 0.500 0.500 0.747



VASP calculation (GGA-PBE) on a geometry-optimized TcPtRh2 structure.

Calculated values
E in eV/atom: -7.8267
Space group: Cmmm
Crystal system: orthorhombic
Energy relative to the elements in eV per atom: -0.049
ΔE to the lowest computed polymorph in meV/atom: 95

a b c (Å): 4.762 4.762 2.725
angles (deg): 90.00 90.00 109.58
Atoms (fractional coordinates):
Tc1 0.500 0.000 0.500
Pt1 0.000 0.500 0.500
Rh1 0.500 0.500 0.000
Rh2 0.000 0.000 0.000



VASP calculation (GGA-PBE) on a geometry-optimized Tc2PtRh structure.

Calculated values
E in eV/atom: -8.5632
Space group: R-3m
Crystal system: trigonal
Energy relative to the elements in eV per atom: -0.032
ΔE to the lowest computed polymorph in meV/atom: 135

a b c (Å): 9.116 9.116 9.116
angles (deg): 17.32 17.32 17.32
Atoms (fractional coordinates):
Pt1 0.250 0.250 0.250
Rh1 0.750 0.750 0.750
Tc1 0.498 0.498 0.498
Tc2 0.002 0.002 0.002



VASP calculation (GGA-PBE) on a geometry-optimized Tc2Pt3Rh4 structure.

Calculated values
E in eV/atom: -7.7268
Space group: C2/m
Crystal system: monoclinic
Energy relative to the elements in eV per atom: -0.142
ΔE to the lowest computed polymorph in meV/atom: 0

a b c (Å): 3.864 6.179 6.152
angles (deg): 107.45 108.30 90.00
Atoms (fractional coordinates):
Pt1 0.000 0.000 0.000
Pt2 0.112 0.668 0.225
Pt3 0.888 0.332 0.775
Tc1 0.324 0.999 0.649
Tc2 0.676 0.001 0.351
Rh1 0.556 0.324 0.112
Rh2 0.444 0.676 0.888
Rh3 0.219 0.322 0.438
Rh4 0.781 0.678 0.562



VASP calculation (GGA-PBE) on a geometry-optimized TcPt2Rh structure.

Calculated values
E in eV/atom: -7.2465
Space group: F-43m
Crystal system: cubic
└──
What is SCARF?
S = Status (Respect), Treat people as being unique, and hence worthy of respect regardless of their roles and titles.
C = Certainty, which is ensuring Clarity in expectations, making requests, promises etc. Be clear in communicating what is expected; avoid suspense and creating an atmosphere of fear!
A = Autonomy, allowing people the freedom to ALWAYS have a choice, and inspiring them; None of us like to feel we have no choice in life – similarly, others would not. Always offer people a choice.
R = Relatedness, which is a human being to human being connection apart from the roles and titles involved; this applies most at home where roles that people play (husband, wife, father, mother, child, sibling) take precedence over other aspects
and the most important of them all,
F = Fairness which is consistency and openness (transparency) – remember we ALL KNOW when we are treated unfairly – so treat others fairly. Without Fairness, all else fails. And remember: Consistency is more important than Perfection!
Cheenu Srinivas
Bharathi Chapter, Chennai